Please duplicate all of the data underneath with every line break kept.

=====
(1)
First-principles (PBE) data for a geometry-optimized InTe2Os structure, as listed in Alexandria via LeMat-Bulk.

Cell and atoms, written as CIF:
```
data_InTe2Os
_chemical_formula_sum 'In1 Te2 Os1'
_cell_length_a 4.389
_cell_length_b 3.200
_cell_length_c 8.170
_cell_angle_alpha 90.00
_cell_angle_beta 105.50
_cell_angle_gamma 90.00
_symmetry_space_group_name_H-M 'P 1 m 1'
_symmetry_Int_Tables_number 6
_symmetry_space_group_name_Hall 'P -2y'
loop_
_atom_site_label
_atom_site_fract_x
_atom_site_fract_y
_atom_site_fract_z
_atom_site_occupancy
In1 0.000 0.000 0.000 1
Te1 0.339 0.000 0.677 1
Te2 0.646 0.500 0.290 1
Os1 0.473 0.500 0.945 1
```

Properties
* formation energy without anion corrections: 66.2 kJ/mol of formula units
* DFT total energy: -4.891 eV/atom


(2)
First-principles (PBE) data for a geometry-optimized In2TeOs structure, as listed in Alexandria via LeMat-Bulk.

Cell and atoms, written as CIF:
```
data_In2TeOs
_chemical_formula_sum 'In4 Te2 Os2'
_cell_length_a 3.175
_cell_length_b 4.574
_cell_length_c 13.117
_cell_angle_alpha 90.00
_cell_angle_beta 90.00
_cell_angle_gamma 90.00
_symmetry_space_group_name_H-M 'I m m m'
_symmetry_Int_Tables_number 71
_symmetry_space_group_name_Hall '-I 2 2'
loop_
_atom_site_label
_atom_site_fract_x
_atom_site_fract_y
_atom_site_fract_z
_atom_site_occupancy
In1 0.000 0.000 0.184 1
Te1 0.000 0.500 0.000 1
Os1 0.000 0.500 0.500 1
```

Properties
* formation energy without anion corrections: 172.0 kJ/mol of formula units
* DFT total energy: -4.516 eV/atom


(3)
First-principles (PBE) data for a geometry-optimized InTe2Os structure, as listed in Alexandria via LeMat-Bulk.

Cell and atoms, written as CIF:
```
data_InTe2Os
_chemical_formula_sum 'In2 Te4 Os2'
_cell_length_a 3.194
_cell_length_b 4.800
_cell_length_c 12.799
_cell_angle_alpha 90.00
_cell_angle_beta 90.00
_cell_angle_gamma 90.00
_symmetry_space_group_name_H-M 'I m m 2'
_symmetry_Int_Tables_number 44
_symmetry_space_group_name_Hall 'I 2 -2'
loop_
_atom_site_label
_atom_site_fract_x
_atom_site_fract_y
_atom_site_fract_z
_atom_site_occupancy
In1 0.000 0.000 0.000 1
Te1 0.000 0.000 0.364 1
Te2 0.000 0.500 0.163 1
Os1 0.000 0.500 0.697 1
```

Properties
* formation energy without anion corrections: 153.1 kJ/mol of formula units
* DFT total energy: -4.666 eV/atom


(4)
First-principles (PBE) data for a geometry-optimized InTe2Os structure, as listed in Alexandria via LeMat-Bulk.

Cell and atoms, written as CIF:
```
data_InTe2Os
_chemical_formula_sum 'In2 Te4 Os2'
_cell_length_a 3.214
_cell_length_b 4.655
_cell_length_c 13.647
_cell_angle_alpha 90.00
_cell_angle_beta 90.00
_cell_angle_gamma 90.00
_symmetry_space_group_name_H-M 'I m m m'
_symmetry_Int_Tables_number 71
_symmetry_space_group_name_Hall '-I 2 2'
loop_
_atom_site_label
_atom_site_fract_x
_atom_site_fract_y
_atom_site_fract_z
_atom_site_occupancy
In1 0.000 0.000 0.000 1
Te1 0.000 0.500 0.166 1
Os1 0.000 0.000 0.500 1
```

Properties
* formation energy without anion corrections: 106.3 kJ/mol of formula units
* DFT total energy: -4.787 eV/atom


Which formula does entry 1 have? InTe2Os


Look up the formation energy without anion corrections of the fourth one. 106.3 kJ/mol of formula units


Which of these has the highest DFT total energy? In2TeOs
=====

(1)
First-principles (PBE) data for a geometry-optimized InTe2Os structure, as listed in Alexandria via LeMat-Bulk.

Cell and atoms, written as CIF:
```
data_InTe2Os
_chemical_formula_sum 'In1 Te2 Os1'
_cell_length_a 4.389
_cell_length_b 3.200
_cell_length_c 8.170
_cell_angle_alpha 90.00
_cell_angle_beta 105.50
_cell_angle_gamma 90.00
_symmetry_space_group_name_H-M 'P 1 m 1'
_symmetry_Int_Tables_number 6
_symmetry_space_group_name_Hall 'P -2y'
loop_
_atom_site_label
_atom_site_fract_x
_atom_site_fract_y
_atom_site_fract_z
_atom_site_occupancy
In1 0.000 0.000 0.000 1
Te1 0.339 0.000 0.677 1
Te2 0.646 0.500 0.290 1
Os1 0.473 0.500 0.945 1
```

Properties
* formation energy without anion corrections: 66.2 kJ/mol of formula units
* DFT total energy: -4.891 eV/atom


(2)
First-principles (PBE) data for a geometry-optimized In2TeOs structure, as listed in Alexandria via LeMat-Bulk.

Cell and atoms, written as CIF:
```
data_In2TeOs
_chemical_formula_sum 'In4 Te2 Os2'
_cell_length_a 3.175
_cell_length_b 4.574
_cell_length_c 13.117
_cell_angle_alpha 90.00
_cell_angle_beta 90.00
_cell_angle_gamma 90.00
_symmetry_space_group_name_H-M 'I m m m'
_symmetry_Int_Tables_number 71
_symmetry_space_group_name_Hall '-I 2 2'
loop_
_atom_site_label
_atom_site_fract_x
_atom_site_fract_y
_atom_site_fract_z
_atom_site_occupancy
In1 0.000 0.000 0.184 1
Te1 0.000 0.500 0.000 1
Os1 0.000 0.500 0.500 1
```

Properties
* formation energy without anion corrections: 172.0 kJ/mol of formula units
* DFT total energy: -4.516 eV/atom


(3)
First-principles (PBE) data for a geometry-optimized InTe2Os structure, as listed in Alexandria via LeMat-Bulk.

Cell and atoms, written as CIF:
```
data_InTe2Os
_chemical_formula_sum 'In2 Te4 Os2'
_cell_length_a 3.194
_cell_length_b 4.800
_cell_length_c 12.799
_cell_angle_alpha 90.00
_cell_angle_beta 90.00
_cell_angle_gamma 90.00
_symmetry_space_group_name_H-M 'I m m 2'
_symmetry_Int_Tables_number 44
_symmetry_space_group_name_Hall 'I 2 -2'
loop_
_atom_site_label
_atom_site_fract_x
_atom_site_fract_y
_atom_site_fract_z
_atom_site_occupancy
In1 0.000 0.000 0.000 1
Te1 0.000 0.000 0.364 1
Te2 0.000 0.500 0.163 1
Os1 0.000 0.500 0.697 1
```

Properties
* formation energy without anion corrections: 153.1 kJ/mol of formula units
* DFT total energy: -4.666 eV/atom


(4)
First-principles (PBE) data for a geometry-optimized InTe2Os structure, as listed in Alexandria via LeMat-Bulk.

Cell and atoms, written as CIF:
```
data_InTe2Os
_chemical_formula_sum 'In2 Te4 Os2'
_cell_length_a 3.214
_cell_length_b 4.655
_cell_length_c 13.647
_cell_angle_alpha 90.00
_cell_angle_beta 90.00
_cell_angle_gamma 90.00
_symmetry_space_group_name_H-M 'I m m m'
_symmetry_Int_Tables_number 71
_symmetry_space_group_name_Hall '-I 2 2'
loop_
_atom_site_label
_atom_site_fract_x
_atom_site_fract_y
_atom_site_fract_z
_atom_site_occupancy
In1 0.000 0.000 0.000 1
Te1 0.000 0.500 0.166 1
Os1 0.000 0.000 0.500 1
```

Properties
* formation energy without anion corrections: 106.3 kJ/mol of formula units
* DFT total energy: -4.787 eV/atom


Which formula does entry 1 have? InTe2Os


Look up the formation energy without anion corrections of the fourth one. 106.3 kJ/mol of formula units


Which of these has the highest DFT total energy? In2TeOs